(Data)
The following is a computed powder diffractogram of Li2CrO4. It was derived from a structure optimized by DFT (PBE+U), using Cu Kα.
Kinematic intensities with the Lorentz-polarization factor, no thermal factor.

Main lines, in order of rising 2θ (2θ from 5° to 70°):
2θ/deg  I (rel.)
21.25  87
21.52  100
24.04  29
26.09  16
27.41  17
31.18  19
33.92  20
34.61  21
35.77  19
62.77  12

Crystal structure
Unit cell a=6.831 b=5.286 c=5.184 alpha=90.00 beta=90.00 gamma=90.00
Positions (direct):
1 Li 0.249 0.178 0.000
2 Li 0.251 0.822 0.500
3 Li 0.749 0.822 0.500
4 Li 0.751 0.178 0.000
5 Cr 0.000 0.687 0.006
6 Cr 0.500 0.313 0.506
7 O 0.000 0.377 0.947
8 O 0.000 0.739 0.323
9 O 0.198 0.822 0.879
10 O 0.302 0.178 0.379
11 O 0.500 0.261 0.823
12 O 0.500 0.623 0.447
13 O 0.698 0.178 0.379
14 O 0.802 0.822 0.879

* * * * *

[1]
For RbNa10Sr, DFT lattice parameters and positions (PBE) gives the calculated powder X-ray diffraction pattern in this record (Cu Kα X-rays).

Atomic structure:
a b c (Å): 5.7822 7.2571 12.4961
angles (deg): 90.00 90.00 90.00
Sites, in units of the cell vectors:
Rb  0.0000  0.0000  0.0000
Na  0.0000  0.0000  0.3401
Na  0.0000  0.0000  0.6599
Na  0.0000  0.5000  0.1754
Na  0.0000  0.5000  0.8246
Na  0.5000  0.0000  0.5000
Na  0.5000  0.2613  0.2672
Na  0.5000  0.2613  0.7328
Na  0.5000  0.5000  0.0000
Na  0.5000  0.7387  0.2672
Na  0.5000  0.7387  0.7328
Sr  0.0000  0.5000  0.5000

Top 10 peaks for 2θ from 15° to 90°, by intensity:
| d [Å] | 2theta | Rel. int. |
| --- | --- | --- |
| 3.067 | 29.1 | 100 |
| 4.250 | 20.9 | 66 |
| 3.138 | 28.4 | 25 |
| 2.891 | 30.9 | 24 |
| 2.125 | 42.5 | 24 |
| 3.613 | 24.6 | 24 |
| 2.259 | 39.9 | 20 |
| 1.967 | 46.1 | 17 |
| 1.701 | 53.9 | 17 |
| 2.189 | 41.2 | 14 |

=====

[2]
For Rb2Na2Sr, DFT lattice parameters and positions (PBE) gives the calculated powder X-ray diffraction pattern in this record (Cu Kα X-rays).

Atomic structure:
a b c (Å): 8.2049 8.2049 8.2049
angles (deg): 130.95 130.95 71.89
Sites, in units of the cell vectors:
Rb  0.1388  0.1388  0.0000
Rb  0.8612  0.8612  0.0000
Na  0.2500  0.7500  0.5000
Na  0.7500  0.2500  0.5000
Sr  0.5000  0.5000  0.0000

Top 10 peaks for 2θ from 15° to 90°, by intensity:
| d [Å] | 2theta | Rel. int. |
| --- | --- | --- |
| 3.713 | 24.0 | 100 |
| 4.816 | 18.4 | 74 |
| 2.510 | 35.8 | 70 |
| 3.406 | 26.2 | 68 |
| 2.408 | 37.3 | 26 |
| 3.899 | 22.8 | 23 |
| 1.738 | 52.7 | 23 |
| 2.020 | 44.9 | 18 |
| 2.154 | 41.9 | 18 |
| 2.012 | 45.1 | 16 |

=====

[3]
For RbNa8Sr3, DFT lattice parameters and positions (PBE) gives the calculated powder X-ray diffraction pattern in this record (Cu Kα X-rays).

Atomic structure:
a b c (Å): 7.2038 7.2038 11.9201
angles (deg): 90.00 90.00 120.00
Sites, in units of the cell vectors:
Rb  0.0000  0.0000  0.0000
Na  0.1644  0.3289  0.6774
Na  0.1644  0.8356  0.6774
Na  0.3333  0.6667  0.4355
Na  0.3333  0.6667  0.9324
Na  0.5039  0.0078  0.1935
Na  0.5039  0.4961  0.1935
Na  0.6711  0.8356  0.6774
Na  0.9922  0.4961  0.1935
Sr  0.0000  0.0000  0.3825
Sr  0.6667  0.3333  0.4985
Sr  0.6667  0.3333  0.8598

Top 10 peaks for 2θ from 15° to 90°, by intensity:
| d [Å] | 2theta | Rel. int. |
| --- | --- | --- |
| 3.351 | 26.6 | 100 |
| 3.083 | 29.0 | 88 |
| 3.602 | 24.7 | 70 |
| 2.028 | 44.7 | 46 |
| 3.018 | 29.6 | 44 |
| 1.894 | 48.0 | 33 |
| 1.963 | 46.2 | 23 |
| 1.801 | 50.7 | 23 |
| 1.676 | 54.8 | 21 |
| 1.586 | 58.2 | 21 |

=====

[4]
For RbNa2Te2, DFT lattice parameters and positions (PBE) gives the calculated powder X-ray diffraction pattern in this record (Cu Kα X-rays).

Atomic structure:
a b c (Å): 7.7870 7.7870 7.7870
angles (deg): 141.17 141.17 56.08
Sites, in units of the cell vectors:
Rb  0.0000  0.0000  0.0000
Na  0.2500  0.7500  0.5000
Na  0.7500  0.2500  0.5000
Te  0.3789  0.3789  0.0000
Te  0.6211  0.6211  0.0000

Top 10 peaks for 2θ from 15° to 90°, by intensity:
| d [Å] | 2theta | Rel. int. |
| --- | --- | --- |
| 3.431 | 26.0 | 100 |
| 3.660 | 24.3 | 74 |
| 2.588 | 34.7 | 53 |

(To do)
Now type out the lines earlier on without altering anything.

(Worked solution)
The following is a computed powder diffractogram of Li2CrO4. It was derived from a structure optimized by DFT (PBE+U), using Cu Kα.
Kinematic intensities with the Lorentz-polarization factor, no thermal factor.

Main lines, in order of rising 2θ (2θ from 5° to 70°):
2θ/deg  I (rel.)
21.25  87
21.52  100
24.04  29
26.09  16
27.41  17
31.18  19
33.92  20
34.61  21
35.77  19
62.77  12

Crystal structure
Unit cell a=6.831 b=5.286 c=5.184 alpha=90.00 beta=90.00 gamma=90.00
Positions (direct):
1 Li 0.249 0.178 0.000
2 Li 0.251 0.822 0.500
3 Li 0.749 0.822 0.500
4 Li 0.751 0.178 0.000
5 Cr 0.000 0.687 0.006
6 Cr 0.500 0.313 0.506
7 O 0.000 0.377 0.947
8 O 0.000 0.739 0.323
9 O 0.198 0.822 0.879
10 O 0.302 0.178 0.379
11 O 0.500 0.261 0.823
12 O 0.500 0.623 0.447
13 O 0.698 0.178 0.379
14 O 0.802 0.822 0.879

* * * * *

[1]
For RbNa10Sr, DFT lattice parameters and positions (PBE) gives the calculated powder X-ray diffraction pattern in this record (Cu Kα X-rays).

Atomic structure:
a b c (Å): 5.7822 7.2571 12.4961
angles (deg): 90.00 90.00 90.00
Sites, in units of the cell vectors:
Rb  0.0000  0.0000  0.0000
Na  0.0000  0.0000  0.3401
Na  0.0000  0.0000  0.6599
Na  0.0000  0.5000  0.1754
Na  0.0000  0.5000  0.8246
Na  0.5000  0.0000  0.5000
Na  0.5000  0.2613  0.2672
Na  0.5000  0.2613  0.7328
Na  0.5000  0.5000  0.0000
Na  0.5000  0.7387  0.2672
Na  0.5000  0.7387  0.7328
Sr  0.0000  0.5000  0.5000

Top 10 peaks for 2θ from 15° to 90°, by intensity:
| d [Å] | 2theta | Rel. int. |
| --- | --- | --- |
| 3.067 | 29.1 | 100 |
| 4.250 | 20.9 | 66 |
| 3.138 | 28.4 | 25 |
| 2.891 | 30.9 | 24 |
| 2.125 | 42.5 | 24 |
| 3.613 | 24.6 | 24 |
| 2.259 | 39.9 | 20 |
| 1.967 | 46.1 | 17 |
| 1.701 | 53.9 | 17 |
| 2.189 | 41.2 | 14 |

=====

[2]
For Rb2Na2Sr, DFT lattice parameters and positions (PBE) gives the calculated powder X-ray diffraction pattern in this record (Cu Kα X-rays).

Atomic structure:
a b c (Å): 8.2049 8.2049 8.2049
angles (deg): 130.95 130.95 71.89
Sites, in units of the cell vectors:
Rb  0.1388  0.1388  0.0000
Rb  0.8612  0.8612  0.0000
Na  0.2500  0.7500  0.5000
Na  0.7500  0.2500  0.5000
Sr  0.5000  0.5000  0.0000

Top 10 peaks for 2θ from 15° to 90°, by intensity:
| d [Å] | 2theta | Rel. int. |
| --- | --- | --- |
| 3.713 | 24.0 | 100 |
| 4.816 | 18.4 | 74 |
| 2.510 | 35.8 | 70 |
| 3.406 | 26.2 | 68 |
| 2.408 | 37.3 | 26 |
| 3.899 | 22.8 | 23 |
| 1.738 | 52.7 | 23 |
| 2.020 | 44.9 | 18 |
| 2.154 | 41.9 | 18 |
| 2.012 | 45.1 | 16 |

=====

[3]
For RbNa8Sr3, DFT lattice parameters and positions (PBE) gives the calculated powder X-ray diffraction pattern in this record (Cu Kα X-rays).

Atomic structure:
a b c (Å): 7.2038 7.2038 11.9201
angles (deg): 90.00 90.00 120.00
Sites, in units of the cell vectors:
Rb  0.0000  0.0000  0.0000
Na  0.1644  0.3289  0.6774
Na  0.1644  0.8356  0.6774
Na  0.3333  0.6667  0.4355
Na  0.3333  0.6667  0.9324
Na  0.5039  0.0078  0.1935
Na  0.5039  0.4961  0.1935
Na  0.6711  0.8356  0.6774
Na  0.9922  0.4961  0.1935
Sr  0.0000  0.0000  0.3825
Sr  0.6667  0.3333  0.4985
Sr  0.6667  0.3333  0.8598

Top 10 peaks for 2θ from 15° to 90°, by intensity:
| d [Å] | 2theta | Rel. int. |
| --- | --- | --- |
| 3.351 | 26.6 | 100 |
| 3.083 | 29.0 | 88 |
| 3.602 | 24.7 | 70 |
| 2.028 | 44.7 | 46 |
| 3.018 | 29.6 | 44 |
| 1.894 | 48.0 | 33 |
| 1.963 | 46.2 | 23 |
| 1.801 | 50.7 | 23 |
| 1.676 | 54.8 | 21 |
| 1.586 | 58.2 | 21 |

=====

[4]
For RbNa2Te2, DFT lattice parameters and positions (PBE) gives the calculated powder X-ray diffraction pattern in this record (Cu Kα X-rays).

Atomic structure:
a b c (Å): 7.7870 7.7870 7.7870
angles (deg): 141.17 141.17 56.08
Sites, in units of the cell vectors:
Rb  0.0000  0.0000  0.0000
Na  0.2500  0.7500  0.5000
Na  0.7500  0.2500  0.5000
Te  0.3789  0.3789  0.0000
Te  0.6211  0.6211  0.0000

Top 10 peaks for 2θ from 15° to 90°, by intensity:
| d [Å] | 2theta | Rel. int. |
| --- | --- | --- |
| 3.431 | 26.0 | 100 |
| 3.660 | 24.3 | 74 |
| 2.588 | 34.7 | 53 |